What to do >
Your job: repeat every line underneath that contains the word "GGA-PBE".
Data >
'''
# 1
Here is RbSiAu3 after structural relaxation from the Alexandria database. Energies are from GGA-PBE. Values from VASP.

Geometry as Quantum ESPRESSO input:
```
&SYSTEM
  ibrav = 0, nat = 10, ntyp = 3
/
ATOMIC_SPECIES
Rb 85.47 Rb.upf
Si 28.09 Si.upf
Au 196.97 Au.upf
CELL_PARAMETERS angstrom
3.356 1.938 6.929
-3.356 1.938 6.929
0.000 -3.875 6.929
ATOMIC_POSITIONS crystal
Rb 0.111 0.111 0.111
Rb 0.889 0.889 0.889
Si 0.442 0.442 0.442
Si 0.558 0.558 0.558
Au 0.015 0.594 0.594
Au 0.406 0.406 0.985
Au 0.406 0.985 0.406
Au 0.594 0.015 0.594
Au 0.594 0.594 0.015
Au 0.985 0.406 0.406
```

polymorph energy (0 for the lowest one): 0.1001 eV/atom
formation energy from raw total energies: -174 meV per atom


# 2
Here is RbSb2Pb after structural relaxation from the Alexandria database. Energies are from GGA-PBE. Values from VASP.

Geometry as Quantum ESPRESSO input:
```
&SYSTEM
  ibrav = 0, nat = 4, ntyp = 3
/
ATOMIC_SPECIES
Rb 85.47 Rb.upf
Sb 121.76 Sb.upf
Pb 207.20 Pb.upf
CELL_PARAMETERS angstrom
2.072 1.197 9.885
-2.072 1.197 9.885
0.000 -2.393 9.885
ATOMIC_POSITIONS crystal
Rb 0.000 0.000 0.000
Sb 0.236 0.236 0.236
Sb 0.764 0.764 0.764
Pb 0.500 0.500 0.500
```

formation energy from raw total energies: 55 meV per atom


# 3
Here is CdCo2W after structural relaxation from the Alexandria database. Energies are from GGA-PBE. Values from VASP.

Geometry as Quantum ESPRESSO input:
```
&SYSTEM
  ibrav = 0, nat = 8, ntyp = 3
/
ATOMIC_SPECIES
Cd 112.41 Cd.upf
Co 58.93 Co.upf
W 183.84 W.upf
CELL_PARAMETERS angstrom
-3.381 3.381 2.772
3.381 -3.381 2.772
3.381 3.381 -2.772
ATOMIC_POSITIONS crystal
Cd 0.000 0.000 0.000
Cd 0.750 0.250 0.500
Co 0.167 0.625 0.042
Co 0.375 0.417 0.542
Co 0.583 0.125 0.958
Co 0.875 0.833 0.458
W 0.250 0.750 0.500
W 0.500 0.500 0.000
```

electronic total energy: -50.1 eV for the cell shown


# 4
Here is Ir2AuBr after structural relaxation from the Alexandria database. Energies are from GGA-PBE. Values from VASP.

Geometry as Quantum ESPRESSO input:
```
&SYSTEM
  ibrav = 0, nat = 4, ntyp = 3
/
ATOMIC_SPECIES
Ir 192.22 Ir.upf
Au 196.97 Au.upf
Br 79.90 Br.upf
CELL_PARAMETERS angstrom
-2.277 2.305 3.265
2.277 -2.305 3.265
2.277 2.305 -3.265
ATOMIC_POSITIONS crystal
Ir 0.000 0.000 0.000
Ir 0.747 0.247 0.500
Au 0.493 0.493 0.000
Br 0.237 0.737 0.500
```

polymorph energy (0 for the lowest one): 0.6391 eV/atom
formation energy from raw total energies: 1093 meV per atom


# 5
Here is FePdSe2N after structural relaxation from the Alexandria database. Energies are from GGA-PBE. Values from VASP.

Geometry as Quantum ESPRESSO input:
```
&SYSTEM
  ibrav = 0, nat = 5, ntyp = 4
/
ATOMIC_SPECIES
Fe 55.84 Fe.upf
Pd 106.42 Pd.upf
Se 78.96 Se.upf
N 14.01 N.upf
CELL_PARAMETERS angstrom
4.873 0.000 0.000
0.000 4.873 0.000
0.000 0.000 3.344
ATOMIC_POSITIONS crystal
Fe 0.000 0.000 0.000
Pd 0.500 0.500 0.500
Se 0.000 0.500 0.000
Se 0.500 0.000 0.000
N 0.000 0.000 0.500
```

polymorph energy (0 for the lowest one): 0.0000 eV/atom
formation energy from raw total energies: 299 meV per atom


# 6
Here is Rb2MgGaSi after structural relaxation from the Alexandria database. Energies are from GGA-PBE. Values from VASP.

Geometry as Quantum ESPRESSO input:
```
&SYSTEM
  ibrav = 0, nat = 5, ntyp = 4
/
ATOMIC_SPECIES
Rb 85.47 Rb.upf
Mg 24.30 Mg.upf
Ga 69.72 Ga.upf
Si 28.09 Si.upf
CELL_PARAMETERS angstrom
6.937 0.000 0.000
0.000 6.937 0.000
0.000 0.000 4.575
ATOMIC_POSITIONS crystal
Rb 0.000 0.500 0.000
Rb 0.500 0.000 0.000
Mg 0.000 0.000 0.500
Ga 0.500 0.500 0.000
Si 0.500 0.500 0.500
```

formation energy from raw total energies: 357 meV per atom


# 7
Here is Er2Mg2Pb5 after structural relaxation from the Alexandria database. Energies are from GGA-PBE. Values from VASP.

Geometry as Quantum ESPRESSO input:
```
&SYSTEM
  ibrav = 0, nat = 18, ntyp = 3
/
ATOMIC_SPECIES
Er 167.26 Er.upf
Mg 24.30 Mg.upf
Pb 207.20 Pb.upf
CELL_PARAMETERS angstrom
-7.963 4.856 3.433
7.963 -4.856 3.433
7.963 4.856 -3.433
ATOMIC_POSITIONS crystal
Er 0.000 0.000 0.000
'''
Solution >
Here is RbSiAu3 after structural relaxation from the Alexandria database. Energies are from GGA-PBE. Values from VASP.
Here is RbSb2Pb after structural relaxation from the Alexandria database. Energies are from GGA-PBE. Values from VASP.
Here is CdCo2W after structural relaxation from the Alexandria database. Energies are from GGA-PBE. Values from VASP.
Here is Ir2AuBr after structural relaxation from the Alexandria database. Energies are from GGA-PBE. Values from VASP.
Here is FePdSe2N after structural relaxation from the Alexandria database. Energies are from GGA-PBE. Values from VASP.
Here is Rb2MgGaSi after structural relaxation from the Alexandria database. Energies are from GGA-PBE. Values from VASP.
Here is Er2Mg2Pb5 after structural relaxation from the Alexandria database. Energies are from GGA-PBE. Values from VASP.